Tallinn University of Technology

• Calculated crystals, kept here for reference:
********
Density functional theory data (GGA-PBE) for a geometry-optimized Mg3Si4O12 structure.

Lattice parameters (Å, degrees): 5.388 9.267 19.326 90.00 95.94 90.00
Space group C2/c (No. 15)
One atom of each set of equivalent atoms:
Mg 0.234 0.088 0.000
Mg 0.250 0.250 0.500
Si 0.136 0.083 0.645
Si 0.136 0.250 0.145
O 0.091 0.425 0.544
O 0.103 0.085 0.559
O 0.104 0.248 0.059
O 0.106 0.165 0.827
O 0.106 0.332 0.327
O 0.150 0.083 0.174

Energy of formation ... -2.96 eV/atom
Calculated total energy ... -535.822 eV for the cell shown
Spin magnetization ... 2.00 μB/f.u.

***

Density functional theory data (GGA-PBE) for a geometry-optimized Mg2SiO4 structure.

Lattice parameters (Å, degrees): 10.323 6.048 4.803 90.00 90.00 90.00
Space group Pnma (No. 62)
One atom of each set of equivalent atoms:
Mg 0.000 0.000 0.000
Mg 0.223 0.250 0.492
Si 0.094 0.750 0.426
O 0.053 0.250 0.722
O 0.092 0.750 0.766
O 0.163 0.533 0.277

Energy of formation ... -3.22 eV/atom
Calculated total energy ... -192.888 eV for the cell shown

***

Density functional theory data (GGA-PBE) for a geometry-optimized Mg2SiO4 structure.

Lattice parameters (Å, degrees): 6.0145 6.0145 4.8289 90.00 90.00 120.00
Space group P-3m1 (No. 164)
One atom of each set of equivalent atoms:
Mg 0.0000 0.0000 0.0000
Mg 0.0000 0.5000 0.5000
Si 0.3333 0.6667 0.9268
O 0.1887 0.3774 0.7768
O 0.3333 0.6667 0.2647

Energy of formation ... -3.16 eV/atom
Calculated total energy ... -95.572 eV for the cell shown
Spin magnetization ... 0.00 μB/f.u.

***

Density functional theory data (GGA-PBE) for a geometry-optimized MgSiO3 structure.

Lattice parameters (Å, degrees): 11.642 11.642 11.543 90.00 90.00 90.00
Space group I4_1/a (No. 88, origin choice 2)
One atom of each set of equivalent atoms:
Mg 0.000 0.000 0.000
Mg 0.000 0.250 0.373
Mg 0.128 0.486 0.235
Si 0.000 0.000 0.500
Si 0.000 0.250 0.125
Si 0.000 0.250 0.625
Si 0.125 0.489 0.745
O 0.026 0.441 0.833
O 0.036 0.352 0.532
O 0.043 0.045 0.360
O 0.063 0.163 0.031
O 0.144 0.026 0.555
O 0.165 0.463 0.049

Energy of formation ... -3.15 eV/atom
Calculated total energy ... -1137.609 eV for the cell shown
Spin magnetization ... 0.00 μB/f.u.

***

- calculated total energy of number 2 (Mg2SiO4)?
  -192.888 eV for the cell shown

=====

# 1
Density functional theory data (GGA+U) for K2UW2O10 after structural relaxation.

Computed properties:
As for the energy of formation from the pure elements: -39.87 eV/f.u. The value obtained for the total moment is 0.0 μB/cell.

a = 14.339 Å, b = 7.702 Å, c = 8.785 Å
α = 90.00°, β = 90.00°, γ = 90.00°
Element x y z (fractional)
K1 0.198 0.250 0.155
K2 0.216 0.750 0.174
K3 0.284 0.250 0.674
K4 0.302 0.750 0.655
K5 0.698 0.250 0.345
K6 0.716 0.750 0.326
K7 0.784 0.250 0.826
K8 0.802 0.750 0.845
U1 0.004 0.750 0.525
U2 0.496 0.250 0.025
U3 0.504 0.750 0.975
U4 0.996 0.250 0.475
W1 0.069 0.501 0.854
W2 0.069 0.999 0.854
W3 0.431 0.001 0.354
W4 0.431 0.499 0.354
W5 0.569 0.501 0.646
W6 0.569 0.999 0.646
W7 0.931 0.001 0.146
********

Recently, a researcher at the TTÜ Department of Cybernetics, Martin Lints, defended his doctoral thesis "Optimised Signal Processing for Nonlinear Ultrasonic Nondestructive Testing of Complex Materials and Biological Tissues".

Carbon Fibre Reinforced Polymer (CFRP) is a complex layered material consisting of carbon fibre textile layers bound by polymer. It is lightweight and highly strong material. CFRP is therefore a material of the future seeing increasing usage in new industries. It is currently used in aerospace industry, sports goods manufacturing, automotive industry (in load-bearing parts of cars, where reduction in weight allows better dynamics and lower fuel consumption) and increasingly in civil engineering (for increasing the load-bearing capacity of structures, such as bridges and buildings).

"Although CFRP is lightweight and strong, it may be very susceptible to external mechanical impacts (stress and impacts may cause cracking and delaminations, which may become fatal for a product) and therefore load-bearing CFRP products need to be tested regularly. The thesis focused on the analysis of material properties of CFRP by ultrasonic wave spectroscopy. Ultrasonic wave spectroscopy is currently the most economical method for nondestructively testing material properties and finding defects, applied in manufacturing industry and also medical imaging. The disadvantage (compared to the more expensive and complex methods, such as X-ray spectroscopy and tomography) is limited wavelength and high attenuation of ultrasound in CFRP," Martin Lints explains.

Ultrasonic wave spectroscopy has been used for nondestructive testing of materials for over a century. Most common methods rely on linear wave propagation, but recently methods relying on nonlinear wave propagation have been under significant development. The advantage of the latter is that analysis of nonlinear effects allows detecting defects that are smaller than the wavelength of the ultrasound. Large wavelengths penetrate CFRP better, which allows us to "see" further and deeper.

Martin Lints says, "In the doctoral thesis we developed the delayed Time Reversal–Nonlinear Elastic Wave Spectroscopy (delayed TR-NEWS) method, which uses the internal reflections of the material to create focusing of the ultrasonic wave (i.e. analysis of the waves which have impacted the internal surfaces of the material). The future prospect of this method is that a product or device will test the “health” of its components by itself. So the device (aeroplane, car, etc.) no longer needs to be stopped for testing, it will give a signal of the occurrence of a possible defect itself."

Next to the piece, the page also holds crystal structures =
=====
! PBE-GGA NbRh, relaxed; values from VASP
&SYSTEM
  ibrav = 0, nat = 6, ntyp = 2
/
ATOMIC_SPECIES
Nb 92.91 Nb.upf
Rh 102.91 Rh.upf
CELL_PARAMETERS angstrom
4.9020 0.0000 0.0000
0.0000 2.8670 0.0000
-1.6778 0.0000 6.8873
ATOMIC_POSITIONS crystal
Nb 0.0000 0.0000 0.0000
Nb 0.2540 0.0000 0.6670
Nb 0.7460 0.0000 0.3330
Rh 0.2559 0.5000 0.3347
Rh 0.5000 0.5000 0.0000
Rh 0.7441 0.5000 0.6653
! Energy: -0.3351 Ha/atom

----------

No. 1
Material: Na10Si9Sn8S3O48
Method: DFT, GGA-PBE
State: optimized geometry

```
Na10Si9Sn8S3O48
1.0
9.004 0.000 0.000
0.007 15.625 0.000
0.058 0.102 22.697
Na Si Sn S O
30 27 24 9 144
Direct
0.000 0.000 0.000
0.001 0.335 0.666
0.008 0.666 0.329
0.010 0.302 0.332
0.055 0.984 0.325
0.172 0.492 0.579
0.189 0.497 0.079
0.191 0.817 0.244
0.192 0.165 0.913
0.195 0.823 0.747
0.207 0.157 0.414
0.369 0.640 0.497
0.372 0.666 0.830
0.378 0.335 0.166
0.495 0.501 0.999
0.500 0.833 0.666
0.508 0.166 0.329
0.509 0.802 0.332
0.555 0.484 0.325
0.670 0.991 0.578
0.682 0.325 0.743
0.687 0.997 0.080
0.689 0.661 0.913
0.691 0.318 0.244
0.707 0.657 0.414
0.830 0.483 0.824
0.870 0.140 0.496
0.872 0.801 0.832
0.878 0.834 0.166
0.882 0.169 0.833
0.041 0.671 0.495
0.042 0.629 0.830
0.045 0.003 0.160
0.050 0.337 0.828
0.334 0.340 0.327
0.335 0.004 0.662
0.337 0.671 0.995
0.338 0.629 0.331
0.390 0.317 0.995
0.398 0.647 0.661
0.400 0.983 0.328
0.481 0.147 0.162
0.481 0.480 0.829
0.492 0.819 0.496
0.541 0.171 0.495
0.543 0.841 0.827
0.545 0.502 0.160
0.834 0.840 0.327
0.836 0.171 0.994
0.837 0.503 0.662
0.838 0.129 0.331
0.893 0.815 0.995
0.895 0.148 0.661
0.901 0.483 0.328
0.981 0.647 0.162
0.984 0.984 0.829
0.992 0.319 0.496
0.179 0.485 0.431
0.179 0.812 0.098
0.182 0.146 0.763
0.189 0.151 0.059
0.189 0.490 0.727
0.191 0.814 0.892
0.192 0.491 0.227
0.192 0.813 0.394
0.194 0.146 0.264
0.194 0.484 0.929
0.196 0.149 0.560
0.205 0.814 0.598
0.675 0.312 0.097
0.679 0.985 0.431
0.685 0.645 0.765
0.689 0.316 0.894
0.689 0.651 0.059
0.690 0.985 0.725
0.692 0.313 0.394
0.692 0.991 0.227
0.694 0.646 0.264
0.696 0.649 0.560
0.700 0.981 0.932
0.703 0.314 0.597
0.040 0.298 0.162
0.045 0.962 0.496
0.338 0.296 0.662
0.338 0.962 0.995
0.540 0.798 0.162
0.541 0.130 0.829
0.544 0.462 0.495
0.839 0.462 0.996
0.840 0.797 0.662
0.000 0.472 0.993
0.002 0.809 0.655
0.003 0.457 0.272
0.015 0.831 0.335
0.016 0.152 0.999
0.017 0.484 0.665
0.018 0.142 0.322
0.055 0.565 0.886
0.063 0.247 0.217
0.063 0.726 0.434
0.064 0.396 0.768
0.070 0.060 0.101
0.076 0.909 0.548
0.081 0.561 0.165
0.081 0.897 0.835
0.082 0.226 0.501
0.083 0.736 0.159
0.085 0.071 0.825
0.100 0.402 0.492
0.105 0.924 0.440
0.109 0.045 0.221
0.110 0.257 0.110
0.111 0.049 0.499
0.115 0.381 0.886
0.116 0.382 0.166
0.117 0.724 0.834
0.122 0.719 0.551
0.124 0.240 0.822
0.126 0.907 0.156
0.129 0.593 0.772
0.135 0.580 0.492
0.249 0.382 0.384
0.249 0.591 0.275
0.255 0.909 0.657
0.257 0.244 0.322
0.259 0.575 0.991
0.263 0.047 0.999
0.264 0.380 0.668
0.264 0.725 0.334
0.268 0.258 0.610
0.269 0.922 0.942
0.270 0.048 0.722
=====

The supervisor of the doctoral thesis was Professor Andrus Salupere (TTÜ) and the co-supervisor was Professor Serge Dos Santos (INSA Centre Val de Loire).
The opponents were Professor Claes Hedberg (Blekinge Institute of Technology, Sweden) and Professor Patrick Marquié (Université Bourgogne Franche Comté, France).

The doctoral thesis has been published in the digital collection of TTÜ library: https://digi.lib.ttu.ee/i/?8437

-- Someone pasted calculated crystals at this point --
<<<
Below is a geometry-optimized MgV4Co2O12 structure, with properties calculated at the PBE with a Hubbard U level.

Values from the calculation:
**Energy of formation from the pure elements**: -2.18 eV per atom

Cell and atoms, written as POSCAR:
```
MgV4Co2O12
1.0
5.281 -4.437 0.000
5.281 4.437 0.000
-2.144 0.000 5.346
Mg V Co O
1 4 2 12
direct
0.000 0.000 0.000
0.082 0.338 0.492
0.461 0.112 0.999
0.662 0.918 0.508
0.888 0.539 0.001
0.200 0.800 0.500
0.359 0.641 0.000
0.072 0.726 0.096
0.197 0.093 0.472
0.248 0.524 0.600
0.274 0.928 0.904
0.369 0.358 0.027
0.476 0.752 0.400
0.618 0.086 0.319
0.642 0.631 0.973
0.685 0.037 0.839
0.907 0.803 0.528
0.914 0.382 0.681
0.963 0.315 0.161
```

Below is a geometry-optimized KCrCdC6N6O structure, with properties calculated at the PBE with a Hubbard U level.

Values from the calculation:
**Energy of formation from the pure elements**: 0.35 eV per atom

Cell and atoms, written as POSCAR:
```
KCrCdC6N6O
1.0
0.000 5.592 5.592
5.592 0.000 5.592
5.592 5.592 0.000
K Cr Cd C N O
1 1 1 6 6 1
direct
0.000 0.000 0.000
0.750 0.750 0.750
0.250 0.250 0.250
0.563 0.563 0.937
0.563 0.937 0.563
0.563 0.937 0.937
0.937 0.563 0.563
0.937 0.563 0.937
0.937 0.937 0.563
0.041 0.041 0.459
0.041 0.459 0.041
0.041 0.459 0.459
0.459 0.041 0.041
0.459 0.041 0.459
0.459 0.459 0.041
0.500 0.500 0.500
```

Below is a geometry-optimized BaCaW4O8 structure, with properties calculated at the PBE with a Hubbard U level.

Values from the calculation:
**Energy of formation from the pure elements**: -1.60 eV per atom

Cell and atoms, written as POSCAR:
```
BaCaW4O8
1.0
5.869 0.000 0.000
-2.935 5.083 0.000
0.000 0.000 7.520
Ba Ca W O
1 1 4 8
direct
0.000 0.000 0.000
0.000 0.000 0.500
0.333 0.667 0.274
0.333 0.667 0.726
0.667 0.333 0.274
0.667 0.333 0.726
0.000 0.303 0.295
0.000 0.697 0.705
0.303 0.000 0.295
0.303 0.303 0.705
0.333 0.667 0.000
0.667 0.333 0.000
0.697 0.000 0.705
0.697 0.697 0.295
```

Below is a geometry-optimized K3Mo14O22 structure, with properties calculated at the PBE with a Hubbard U level.

Values from the calculation:
**Energy of formation from the pure elements**: -1.45 eV per atom

Cell and atoms, written as POSCAR:
```
K3Mo14O22
1.0
11.582 0.000 0.000
0.000 9.913 0.000
-2.440 0.000 10.289
K Mo O
6 28 44
direct
0.000 0.000 0.000
0.000 0.500 0.500
0.329 0.027 0.053
0.329 0.473 0.553
0.671 0.527 0.447
0.671 0.973 0.947
0.000 0.140 0.334
0.000 0.360 0.834
0.000 0.640 0.166
0.000 0.860 0.666
0.139 0.636 0.936
0.139 0.864 0.436
0.146 0.132 0.637
0.146 0.368 0.137
0.286 0.131 0.401
0.286 0.369 0.901
0.289 0.643 0.240
0.289 0.857 0.740
0.426 0.642 0.020
0.426 0.858 0.520
0.432 0.129 0.715
0.432 0.371 0.215
0.568 0.629 0.785
0.568 0.871 0.285
0.574 0.142 0.480
0.574 0.358 0.980
0.711 0.143 0.260
0.711 0.357 0.760
0.714 0.631 0.099
0.714 0.869 0.599
0.854 0.632 0.863
0.854 0.868 0.363
0.861 0.136 0.564
0.861 0.364 0.064
0.004 0.239 0.673
0.004 0.261 0.173
0.140 0.017 0.298
0.140 0.483 0.798
0.143 0.742 0.109
0.143 0.758 0.609
>>>
-- The calculated crystals stop here --

Kersti Vähi, TTÜ Research Administration Office